Total closure: new measures can remain until spring (SUMMARY)


Drastic measures against the coronavirus in our country. New restrictions and full bans will come into effect on Friday, Health Minister Kostadin Angelov announced.

The proposal of the Minister of Health is to extend the epidemic emergency situation by 4 months. Schools, universities, kindergartens and nurseries are closed for face-to-face classes.

They stop all kinds of sporting events.

The operation of restaurants, non-food stores and shopping centers is suspended.

Kindergartens and nurseries are closing. Schools and universities are connecting. All the stores and large outlets are closing, except for grocery stores, pharmacies, gas stations, and banks.

The country’s restaurants and cafes stop working. They will only be allowed to offer food at home. Discos and clubs are also closing. Gyms will not work and sporting events will stop.

Excursions and celebrations are prohibited.

The epidemic emergency situation lasts 4 months until March of next year. It is not yet clear how long the emergency measures will last. How long the restrictions will remain in effect will be evaluated each week.

The new measures will be proposed for discussion in the Council of Ministers and will have a minimum validity of three weeks.

What comes next are crystal structures, not part of the page:
____________
This record from Alexandria via LeMat-Bulk describes an optimized crystal structure of Be2CdTe. The functional is GGA-PBE.

Lattice parameters (Å, degrees): 3.523 3.630 11.803 90.00 90.00 90.00
Space group Imm2 (No. 44)
Inequivalent atoms, fractional coordinates:
Be (0.000, 0.000, 0.000) (multiplicity 2)
Be (0.000, 0.500, 0.107) (multiplicity 2)
Cd (0.000, 0.500, 0.701) (multiplicity 2)
Te (0.000, 0.000, 0.438) (multiplicity 2)

V: 151 Å³/cell
Energy: -2.45 eV per atom
Crystal system: orthorhombic
ΔE to the lowest computed polymorph: 0.485 eV/f.u.
Total moment: 0.0 μB/cell
Density: 5.7 g cm⁻³

---

This record from Alexandria via LeMat-Bulk describes an optimized crystal structure of Tb2ErTm5. The functional is GGA-PBE.

Lattice parameters (Å, degrees): 5.787 8.479 10.651 90.00 90.01 107.13
Space group P-1 (No. 2)
Inequivalent atoms, fractional coordinates:
Tb (0.155, 0.047, 0.108) (multiplicity 2)
Tb (0.156, 0.047, 0.392) (multiplicity 2)
Er (0.455, 0.129, 0.750) (multiplicity 2)
Tm (0.209, 0.374, 0.586) (multiplicity 2)
Tm (0.209, 0.374, 0.914) (multiplicity 2)
Tm (0.245, 0.441, 0.250) (multiplicity 2)
Tm (0.291, 0.767, 0.584) (multiplicity 2)
Tm (0.293, 0.768, 0.916) (multiplicity 2)

V: 499 Å³/cell
Energy: -4.33 eV per atom
Crystal system: triclinic
ΔE to the lowest computed polymorph: 1.360 eV/f.u.
Energy of formation: 0.19 eV/atom
Total moment: 0.0 μB/cell
Density: 8.8 g cm⁻³

---

This record from Alexandria via LeMat-Bulk describes an optimized crystal structure of TbTl2Sb. The functional is GGA-PBE.

Lattice parameters (Å, degrees): 3.5605 3.5605 34.5481 90.00 90.00 120.00
Space group R-3m (No. 166, hexagonal axes)
Inequivalent atoms, fractional coordinates:
Tb (0.0000, 0.0000, 0.0000) (multiplicity 3)
Tl (0.0000, 0.0000, 0.0913) (multiplicity 6)
Sb (0.0000, 0.0000, 0.5000) (multiplicity 3)

V: 379 Å³/cell
Energy: -3.23 eV per atom
Crystal system: trigonal
ΔE to the lowest computed polymorph: 2.036 eV/f.u.
Total moment: 0.0 μB/cell
Density: 9.1 g cm⁻³

---

This record from Alexandria via LeMat-Bulk describes an optimized crystal structure of Mg2CdAg2. The functional is GGA-PBE.

Lattice parameters (Å, degrees): 7.866 7.866 3.215 90.00 90.00 90.00
Space group P4/mbm (No. 127)
Inequivalent atoms, fractional coordinates:
Mg (0.140, 0.360, 0.000) (multiplicity 4)
Cd (0.000, 0.000, 0.000) (multiplicity 2)
Ag (0.155, 0.655, 0.500) (multiplicity 4)

V: 199 Å³/cell
Energy: -2.05 eV per atom
Crystal system: tetragonal
ΔE to the lowest computed polymorph: 0.383 eV/f.u.
Energy of formation: -0.09 eV/atom
Total moment: 0.0 μB/cell
Density: 6.3 g cm⁻³

=====

12
Lattice="-2.8053 -4.7644 -1.2486 -0.6500 -0.8191 4.5858 -4.3883 2.5708 0.0498" Properties=species:S:1:pos:R:3 comment="LiFeF4 PBE with a Hubbard U optimized geometry" spacegroup="P2/c (13)" e_above_lowest_polymorph_mev_per_atom=8.9 pbc="T T T"
Fe -1.5599 -0.1434 -0.1936
Fe -5.6336 -2.0503 -1.0053
Li -3.2155 -2.8128 1.5071
Li -4.6280 -0.1999 1.8799
F -4.5056 -1.6693 0.4518
____________

“We cannot afford to lose people’s lives. Now is the time to keep our distance while keeping our distance. I will not be the minister who will hand over the efforts of the doctors. My mind and my heart tell me that we must take further action.” said Health Minister Kostadin Angelov.

• Attached: records of crystals:
-- begin --
Density functional theory data (meta-GGA SCAN) for a crystal of TaCr2Tc relaxed with PBEsol.

a b c (Å): 4.9665 4.9665 4.9665
angles (deg): 144.85 129.22 63.26
With the nearest neighbours (Å) after each atom.
Element x y z (fractional)
1 Ta 0.0000 0.0000 0.0000  6 Cr 2.61-2.63, 2 Tc 2.65
2 Cr 0.5063 0.5063 0.0000  2 Cr 2.51, 2 Tc 2.58, 4 Ta 2.61
3 Cr 0.7448 0.2448 0.5000  2 Cr 2.51, 4 Tc 2.61, 2 Ta 2.63
4 Tc 0.2585 0.7585 0.5000  6 Cr 2.58-2.61, 2 Ta 2.65

volume	13.51	Å³ per atom
formation energy from the elements	-0.30	eV/f.u.



Density functional theory data (meta-GGA SCAN) for a crystal of BeOs2Rh relaxed with PBEsol.

a b c (Å): 4.8561 4.8561 4.8561
angles (deg): 146.69 127.94 63.22
With the nearest neighbours (Å) after each atom.
Element x y z (fractional)
1 Be 0.0000 0.0000 0.0000  2 Rh 2.26, 2 Os 2.33
2 Os 0.2253 0.7253 0.5000  2 Be 2.33, 4 Rh 2.59
3 Os 0.5004 0.5004 0.0000  4 Be 2.55, 6 Os 2.67-2.83, 4 Rh 2.73-2.78
4 Rh 0.7847 0.2847 0.5000  2 Be 2.26

volume	12.27	Å³ per atom
formation energy from the elements	-0.27	eV/f.u.



Density functional theory data (meta-GGA SCAN) for a crystal of NiOs3 relaxed with PBEsol.

a b c (Å): 4.2414 4.2414 4.2414
angles (deg): 60.00 60.00 60.00
With the nearest neighbours (Å) after each atom.
Element x y z (fractional)
1 Ni 0.0000 0.0000 0.0000  8 Os 2.60
2 Os 0.2500 0.2500 0.2500  4 Os 2.60, 4 Ni 2.60
3 Os 0.5000 0.5000 0.5000  8 Os 2.60
4 Os 0.7500 0.7500 0.7500  4 Os 2.60, 4 Ni 2.60

volume	13.49	Å³ per atom
formation energy from the elements	2.43	eV/f.u.



Density functional theory data (meta-GGA SCAN) for a crystal of ZrCuTe2 relaxed with PBEsol.

a b c (Å): 4.9489 4.9489 4.9489
angles (deg): 60.00 60.00 60.00
With the nearest neighbours (Å) after each atom.
Element x y z (fractional)
1 Zr 0.0000 0.0000 0.0000  8 Te 3.03
2 Cu 0.5000 0.5000 0.5000  8 Te 3.03
3 Te 0.2500 0.2500 0.2500  4 Zr 3.03, 4 Cu 3.03
4 Te 0.7500 0.7500 0.7500  4 Zr 3.03, 4 Cu 3.03

volume	21.43	Å³ per atom
formation energy (no corrections)	-48	kJ/mol of formula units



Density functional theory data (meta-GGA SCAN) for a crystal of Sc3SeS relaxed with PBEsol.

a b c (Å): 4.9119 4.9119 4.9119
angles (deg): 90.00 90.00 90.00
With the nearest neighbours (Å) after each atom.
Element x y z (fractional)
1 Sc 0.0000 0.0000 0.5000  2 Se 2.46
2 Sc 0.0000 0.5000 0.0000  2 Se 2.46
3 Sc 0.5000 0.0000 0.0000  2 Se 2.46
4 Se 0.0000 0.0000 0.0000  6 Sc 2.46
5 S 0.5000 0.5000 0.5000  12 Sc 3.47

volume	23.70	Å³ per atom
formation energy (no corrections)	-185	kJ/mol of formula units



Density functional theory data (meta-GGA SCAN) for a crystal of RbScCl3 relaxed with PBEsol.

a b c (Å): 7.1916 7.1916 5.8292
angles (deg): 90.00 90.00 120.00
With the nearest neighbours (Å) after each atom.
Element x y z (fractional)
1 Rb 0.3333 0.6667 0.2500  12 Cl 3.57-3.60
2 Rb 0.6667 0.3333 0.7500  12 Cl 3.57-3.60
3 Sc 0.0000 0.0000 0.0000  6 Cl 2.55
4 Sc 0.0000 0.0000 0.5000  6 Cl 2.55
5 Cl 0.1683 0.3366 0.7500  2 Sc 2.55
-- stop --

The proposals have already been discussed with the prime minister, who said that everything the state does should be done with care.

“I took it hard and I still cannot recover, I still feel very affected. On the one hand we have the hospitals, the medical personnel who are exhausted, who do heroics, on the other hand we have the public opinion that thinks it will pass or pass easily. We must not exaggerate with any measure, we must not worry people with any measure, because immobility, staying at home purely affects their psyche. And we must be able to explain to those who are healthy why they have to observe again, because they are carriers, ”said the Prime Minister.

For now, there will be no checkpoints or travel bans between cities.

“We are not imposing a blockade, we believe that together we will impose it. In this way, each of you will become a doctor and a nurse. So you too will become heroes in your homes. It is time to come together in the name of life. Even if we think differently, even if we are afraid of our income, we are obliged to make this effort to support our compatriots. Because only living and healthy people can lift a country, in any crisis, “said the Minister of Health, Kostadin Angelov.

The state will do everything possible to control the situation, but the first results can be expected in at least two weeks.

Photo: Ladislav Tsvetkov

“The incidence in our country has increased by 102.7% weekly, now there are three districts with more than 1,000 patients per 100,000 inhabitants: Gabrovo, Kyustendil and the city of Sofia”, said the Chief Inspector of State Health, Prof Angel Kunchev.

The directors of large hospitals explained that the pressure on the health system is enormous.

Photo: Ladislav Tsvetkov

_Inserted here: crystal structures_
- - -
[1]
CsAlTeS4: relaxed, PBE.

V, Å³/f.u.: 221
Size of the total moment, μB per cell: 0.0
Raw formation energy, eV per atom: -0.657

Unit cell a=7.014 b=6.976 c=9.584 alpha=90.00 beta=109.27 gamma=90.00
Space group P2_1/m (No. 11)
Unique sites:
Cs: 0.222 0.250 0.454 [2 per cell]
Al: 0.235 0.750 0.159 [2 per cell]
Te: 0.268 0.250 0.010 [2 per cell]
S: 0.029 0.750 0.918 [2 per cell]
S: 0.032 0.750 0.289 [2 per cell]
S: 0.459 0.501 0.191 [4 per cell]

---

[2]
CsAlTl2S: relaxed, PBE.

V, Å³/f.u.: 216
Size of the total moment, μB per cell: 0.0
Raw formation energy, eV per atom: 0.280

Unit cell a=5.811 b=5.811 c=6.411 alpha=90.00 beta=90.00 gamma=90.00
Space group P4/mmm (No. 123)
Unique sites:
Cs: 0.000 0.000 0.000 [1 per cell]
Al: 0.500 0.500 0.000 [1 per cell]
Tl: 0.000 0.500 0.500 [2 per cell]
S: 0.000 0.000 0.500 [1 per cell]

---

[3]
Cs3Tm3AlS8: relaxed, PBE.

V, Å³/f.u.: 436
Size of the total moment, μB per cell: 0.0
Raw formation energy, eV per atom: -1.554

Unit cell a=13.560 b=7.821 c=9.383 alpha=90.00 beta=118.85 gamma=90.00
Space group C2/m (No. 12)
Unique sites:
Cs: 0.000 0.000 0.000 [2 per cell]
Cs: 0.250 0.250 0.000 [4 per cell]
Tm: 0.000 0.500 0.500 [2 per cell]
Tm: 0.250 0.250 0.500 [4 per cell]
Al: 0.000 0.000 0.500 [2 per cell]
S: 0.021 0.232 0.331 [8 per cell]
S: 0.211 0.000 0.669 [4 per cell]
S: 0.227 0.500 0.680 [4 per cell]


Here is an optimized crystal structure of HfHgIN2 from the Alexandria database. Energies are from PBE.

Lattice parameters (Å, degrees): 4.205 4.205 5.555 90.00 90.00 90.00
Space group P4/mmm (No. 123)
Symmetry-distinct sites (fractional):
Hf: 0.000 0.000 0.000 [1 per cell]
Hg: 0.500 0.500 0.000 [1 per cell]
I: 0.000 0.000 0.500 [1 per cell]
N: 0.000 0.500 0.500 [2 per cell]

Total magnetization = 0.0 μB per cell
Energy above the most stable polymorph in this dataset = 1449 meV per atom
DOS at the Fermi energy = 3.8 states/eV/f.u.
Energy relative to the elements, uncorrected = 173 kJ per mole of atoms
- - -

“It is very busy, more than 2,000 doctors are infected,” said Pirogov director Asen Baltov.

“In the front line we have all kinds of colleagues, including psychiatrists, our doctors have not returned for more than a month,” said the head of the Alexandrovska Hospital Boris Bogov.

Photo: Ladislav Tsvetkov

“There was great interest in re-infecting 4 colleagues between 5 and 8 months, two with mild symptoms and two with severe symptoms,” said Gen. Ventsislav Mutafchiiski.

Inspections by the health authorities and the Interior Ministry revealed drastic violations in the capital’s establishments over the weekend.

Inspectors and policemen entered 24 establishments, 8 of them were sanctioned and some received closure orders.
